Tag: Sunset

Remembering Our Leadership…

We do not have the space to explore all the ways our mind works, or how much of the brain remains untapped.

It is fascinating just to think about the ability we have to remember. Spiritual leaders must consider that people remember what they see longer than what they hear. Therefore, how will our leadership be remembered?

Will it be remembered for our words or actions?
Will it be remembered for being a servant?

Leadership illuminates our lives and, sadly, our lives are lived under a microscope. 

Before we speak or act, it is worth the time to consider how we want our leadership will be remembered.

The Right Tool…

Although it is not my forte, I have tried to work on a number of mechanical items over the years, from cars to electronics. 

I might have enjoyed more success if I had learned the valuable lesson of getting the right tool(s) for the job and the importance of knowing my limitations.

I can see many similarities to leadership. Leaders do well to learn the importance of taking time to do whatever it takes to prepare properly and achieve the job successfully.

Being equipped with the right tools in leadership can make the difference now and eternally. Prepare and know your limitations!

Entrusting Leaders…

The Greek word translated “entrust” carries the idea of placing something into the hand of another.

Paul reminded Timothy of what had been entrusted to him and instructed him to place it into the hands of those who are faithful so that they, in turn, would teach others also.

When something is entrusted to us, we have a responsibility to care for, guard, protect, cherish, and faithfully use it.

Considering what has been placed into our hands as spiritual leaders, we carry this same responsibility.

One day we will give an account for the stewardship of what has been entrusted to us, including the souls we lead.

Hide and Seek…

Children often play the game “Hide and Seek.” 

When my granddaughter was younger, she introduced a little twist to the game. She told me where she was hiding and wanted me to find her. Hmmm. Of course, she expected the same in return.

While games are fun, it raised a thought about leadership. Are we playing a game of hide and seek when it comes to leading others? 

Do we inform people where we are and where we can be found, or do we leave them wondering, or perhaps, wandering?

Let us be clear in the direction we lead, so others can easily seek and find. Sounds biblical to me!

True and Lasting Leadership…

Leadership is about those who follow. General Douglas MacArthur said, “A general is just as good or just as bad as the troops under his command make him.”

Leaders can become so enamored with leading that they focus on themselves, forgetting their influence in the lives of others.

Interestingly, General MacArthur emphasized that a leader is just as good or bad as followers make them.

Listen to those who are led. What do they say or do? Careful observation reveals a great deal about leadership.

A true and lasting impact is built upon a leader who places emphasis upon others rather than themselves.

Real Leadership…

Real leadership involves authenticity, being genuine, even transparent.

While not always popular, it is essential.

A good friend once told me people want to see the same guy up front preaching that they greet at the back door.

Give this some thought.

We should not take on a different personality when we preach or teach, and we must not excuse such by calling it passion.

If our personality is not passionate outside the pulpit, then why would it become so in the pulpit?

Leading others brings many challenges and this one is difficult. However, if we want to lead others, then we need to BE REAL!

More to Leadership…

We have all heard the offer for a product followed up with, “But wait, there’s more.” At this point the offer is usually doubled.

We always find a great deal associated with leadership, “But wait, there’s more.” 

Leadership is more than power.
Leadership is more than position.
Leadership is more than a title.
Leadership is more than influence.

There will always be more regarding spiritual leadership. If we approach the task with humility and love, we can realize growth in the church and bring glory to our God.

But wait, there’s more! 

If we act now, more souls will enjoy the beauty of heaven. Think Souls!

Positional Leadership…

........
This record from Materials Project describes an optimized crystal structure of SrEuS2. The functional is r²SCAN.

Lattice parameters (Å, degrees): 7.325 7.325 7.325 33.52 33.52 33.52
Positions (direct):
Sr 0.000 0.000 0.000
Eu 0.500 0.500 0.500
S 0.248 0.248 0.248
S 0.752 0.752 0.752

Output
Crystal system   trigonal
Symmetry   No. 166
VASP energy   -19.858 eV per atom
........

One of the great myths of leadership is the positional myth, i.e. “I cannot lead unless I have a position, or once I have a position then I will be able to lead.”

While we do not have to have a position to lead, this position comes with a responsibility. Spiritual leaders are positioned with a responsibility, a responsibility to help others…

…understand there is hope for the future.
…reach their full potential in spiritual maturity.
…obtain their eternal inheritance.

Several years ago, I heard this equation: ability + opportunity = responsibility. After some thought, doesn’t it sound like a good position?

True Peace…

A few moments of reading or watching the news reveals the desire for peace, which seems to be unattainable.

Peace is not the absence of conflict. True peace is only found in a relationship with God through Jesus Christ. Jesus is our peace. His purpose in going to the cross was to provide all nations with peace, uniting all people from every tribe and tongue into one body.

As leaders, we must help others find the only peace that provides hope and unity found in the true Prince of peace.

When we think souls, there is a renewed purpose for helping others enjoy what only Jesus can give.

Character of a Gentleman…

As spiritual leaders, remember a true gentleman demonstrates great character. General Robert E. Lee said it best.

“The forbearing use of power does not only form a touchstone; but the manner in which an individual enjoys certain advantages over others is a test of a true gentleman. The power which the strong have over the weak, the magistrate over the employed, the educated over the unlettered, the experienced over the confiding, even the clever over the silly; the forbearing and inoffensive use of all this power and authority, or the total abstinence from it, when the case admits it, will show the gentleman in a plain light. The gentleman does not needlessly and unnecessarily remind an offender of a wrong he may have committed against him. He can only forgive; he can forget; and he strives for that nobleness of self and mildness of character which imparts sufficient strength to let the past be put the past.”